Chris Schillig: Bigfoot is the monster for our time

Chris Schillig
Chris Schillig

Bigfoot is having a moment in northeast Ohio.

Last month, the Small Town Monsters production company announced Monster Fest in downtown Canton for June 2023. While Bigfoot may share the billing with UFOs and ghosts, everybody knows the big, hairy guy is the real star.

Small Town Monsters has been making bank with Bigfoot since 2015 when company owner Seth Breedlove released “Minerva Monster.” The film explored a branch of the creature’s family tree that sprouted in Paris Township.

Since then, Breedlove has continued to document Bigfoot and other cryptids with several more films. Another will debut next June 3 during Monster Fest, according to a Canton Repository story.

Look, I love me a good Bigfoot yarn, something regular readers of this column know. If you grew up semi-rural in the 1970s, like I did, with a few trees somewhere on your property that an overactive imagination could stretch into a bonafide forest, then Bigfoot was as much a part of your formative years as corduroy pants and transistor radios.

Back then, I lapped up pseudo-scientific junk about giant man-apes like it was manna from hirsute heaven. I still have my dog-eared copy of “The Mysterious Monsters,” a tie-in to a corny movie that made the drive-in circuit in the mid-1970s.

Written by Robert and Frances Guenette, the book covers the holy trinity – Yeti, Loch Ness Monster and Bigfoot him/itself. The first two intrigued me, but let’s be honest, I wasn’t going to the Himalayas or Scotland anytime soon (still haven’t). However, I did romp around in the woods, and it was just possible that a rogue Bigfoot was cagey enough to elude the razor-sharp senses and infallible tracking skills of my eight-year-old self.

As a kid, I played on a swing set that abutted a track of trees no self-respecting monster would have bothered to haunt, but I was certain a Bigfoot lived there, or at least visited on weekends. So powerful was this daydream that I used to practice drills, leaping off the swing and running for the house to see if I was fast enough to elude any Bigfoot that might lumber my way, looking for a scrawny kid to use as a combination Slim Jim and toothpick.

(I don’t know how fast was “fast enough,” but I must have convinced myself that I had a decent chance of survival because I kept going back to the swings.)

My Bigfoot obsession reached its apex with a two-part episode of “The Six Million Dollar Man,” where bionic Steve Austin (Lee Majors) met the creature, played by Andre the Giant. Another encounter later in the series crossed over with “The Bionic Woman” so that Lindsay Wagner could get in on the fun. The Marvel Cinematic Universe has nothing on this epic story of a robotic Bigfoot protecting an underground colony of space aliens while an earthquake looms. (Can you hear my eyes rolling?)

Anyway, over the years I left my obsession with Bigfoot behind, even when others didn’t. An area operation in the ’90s put a new wrinkle on the Bigfoot legend by trying to convince people that many Bigfoot encounters were traumatizing enough to spark amnesia, meaning it was possible to see Bigfoot but suppress the memory. So maybe we’ve all encountered one!

**Calculated molecules from another source follow**
+++
9
Properties=species:S:1:pos:R:3:lowdin_charge:R:1 method="wB97M-V/def2-TZVPD" relative_energy_kj_mol=11.7 energy_ha=-229.2805 spin_multiplicity=2 charge=-1 s_squared=0.750 fmax_ev_per_a=1.5 homo_energy_ev="0.86 / -6.88"
O -1.08 -0.36 2.08 -0.41
H -1.78 -0.90 2.46 -0.08
H -0.98 0.36 2.71 -0.10
O 0.85 -0.78 -2.59 -0.14
H 0.89 0.04 -3.08 0.01
H 0.77 -0.51 -1.68 -0.04
O 0.64 0.51 -0.24 -0.22
H 0.43 0.25 0.66 -0.02
H 0.27 1.39 -0.32 0.00

---

20
Properties=species:S:1:pos:R:3:lowdin_charge:R:1 method="wB97M-V/def2-TZVPD" relative_energy_kj_mol=890.5 energy_ha=-478.0336 fmax_ev_per_a=19.0 homo_energy_ev=-9.20
C 1.71 0.05 0.43 -0.16
C 1.09 -0.74 1.57 -0.05
C -0.14 -1.31 1.14 -0.38
C -0.68 -0.57 -0.04 -0.06
C -1.85 -0.45 -0.69 -0.09
C -2.11 0.44 -1.62 -0.13
C -1.12 1.29 -2.00 -0.05
C 0.18 1.41 -1.30 -0.06
C 0.36 0.44 -0.44 -0.07
H 3.17 1.35 0.44 -0.11
H 2.30 1.55 1.99 0.21
H 2.36 -0.13 -0.09 0.00
H 0.85 -0.39 2.35 0.03
H 1.91 -1.43 1.88 0.17
H -2.50 -0.97 -0.05 0.12
H -3.15 0.33 -2.06 0.14
H -1.10 2.44 -2.80 0.20
H 0.94 1.98 -1.67 0.07
N 2.39 1.40 0.75 0.09
O -0.76 -2.25 1.55 0.13

---

106
Properties=species:S:1:pos:R:3:lowdin_charge:R:1 method="wB97M-V/def2-TZVPD" relative_energy_kj_mol=175.8 energy_ha=-2213.6903 smiles="NC(N)=O.NC(N)=O.NC(N)=O.NC(N)=O.NC(N)=O.CC(C)O.CC(C)O.CC(C)O.CC(C)O.CCO.CCO" fmax_ev_per_a=8.3 homo_energy_ev=-9.42
N -0.95 -18.44 -16.90 0.15
C -0.31 -18.86 -15.86 -0.82
N 0.52 -19.69 -16.32 0.16
O -0.66 -18.69 -14.71 0.03
H -0.75 -18.87 -17.79 0.11
H -1.80 -17.92 -16.74 0.12
H 1.17 -20.12 -15.68 0.13
H 0.47 -20.00 -17.28 0.12
N -0.98 -18.49 -9.43 0.15
C -2.19 -18.00 -9.39 -0.77
N -2.61 -17.61 -10.59 0.16
O -2.88 -17.91 -8.38 0.01
H -0.71 -18.95 -10.29 0.11
H -0.64 -18.89 -8.57 0.12
H -2.04 -17.76 -11.41 0.11
H -3.59 -17.38 -10.64 0.11
N -7.59 -21.42 -17.49 0.16
C -6.91 -20.61 -18.18 -0.80
N -6.43 -19.70 -17.36 0.14
O -6.58 -20.64 -19.36 0.03
H -7.49 -21.49 -16.48 0.12
H -7.88 -22.27 -17.94 0.13
H -6.06 -18.85 -17.76 0.11
H -6.65 -19.73 -16.37 0.10
N -6.09 -13.89 -12.35 0.16
C -4.98 -13.43 -12.87 -0.77
N -4.66 -14.22 -13.88 0.14
O -4.32 -12.45 -12.57 0.02
H -6.66 -13.21 -11.86 0.12
H -6.44 -14.66 -12.90 0.10
H -5.18 -15.08 -13.97 0.10
H -3.86 -14.05 -14.47 0.12
N -9.73 -18.89 -12.59 0.17
C -9.21 -18.09 -13.45 -0.85
N -10.09 -17.66 -14.28 0.17
O -8.03 -17.95 -13.62 0.03
H -9.14 -19.41 -11.96 0.13
H -10.73 -18.97 -12.49 0.11
H -11.04 -17.95 -14.12 0.11
H -9.85 -17.03 -15.03 0.13
C -0.41 -6.15 -11.48 -0.05
C -1.62 -7.02 -11.68 -0.51
C -2.19 -6.99 -13.07 -0.07
O -1.27 -8.35 -11.31 -0.05
H 0.43 -6.46 -12.11 0.09
H -0.05 -6.08 -10.45 0.08
H -0.75 -5.16 -11.77 0.08
H -2.49 -6.66 -11.12 0.13
H -2.90 -7.79 -13.28 0.08
H -1.47 -7.02 -13.89 0.08
H -2.73 -6.04 -13.16 0.08
H -1.89 -9.01 -11.63 0.08
C -8.86 -15.67 -6.56 -0.05
C -9.62 -15.41 -5.18 -0.47
C -9.80 -16.78 -4.51 -0.07
O -8.86 -14.59 -4.35 -0.06
H -8.81 -14.71 -7.07 0.07
H -9.46 -16.36 -7.16 0.06
H -7.89 -16.14 -6.43 0.08
H -10.55 -14.85 -5.32 0.13
H -10.13 -17.47 -5.29 0.07
+++

It’s this kind of wonkiness that has Bigfoot perfectly positioned for a contemporary comeback. Today, folks believe all sorts of bogus conspiracy theories without a shred of evidence. Large hominids living undetected in North America and elsewhere – despite infrared technology, an absence of bodies and scat, and every camper and hunter carrying a cellphone with a camera – seem quaint compared to PizzaGate, replacement theory and Italian satellites that change votes for Joe Biden. (Where’s Steve Austin when we need him?)

Some people just want to believe in something – anything! – so badly that they’ll do it despite (or maybe because of) a lack of evidence. Not for nothing is “confirmation bias” the psychological phenomenon of the 21st century.

None of which should keep anybody from enjoying next year’s Monster Fest. Maybe Bigfoot himself will even make a guest appearance. And if you spot a zipper running up his back — well, just chalk it up to evolution. It’s as plausible an explanation as anything else.

Reach Chris at On Twitter: @cschillig.

This article originally appeared on The Alliance Review: Chris Schillig: Bigfoot is the monster for our time